_Listing_
1.
The following is a PBE calculation of a relaxed structure of NiW, from the Alexandria database.

Computed properties:
Space group: I-43m, No. 217
Formation enthalpy at 0 K (eV per atom): 1.69
Crystal system: cubic

abc: 7.4343 7.4343 7.4343
angles: 90.00 90.00 90.00
Fractional positions:
Ni1 0.1878 0.1878 0.1878
Ni2 0.1878 0.8122 0.8122
Ni3 0.8122 0.1878 0.8122
Ni4 0.8122 0.8122 0.1878
Ni5 0.6878 0.6878 0.6878
Ni6 0.6878 0.3122 0.3122
Ni7 0.3122 0.6878 0.3122
Ni8 0.3122 0.3122 0.6878
W1 0.3717 0.3717 0.3717
W2 0.3717 0.6283 0.6283
W3 0.6283 0.3717 0.6283
W4 0.6283 0.6283 0.3717
W5 0.8717 0.8717 0.8717
W6 0.8717 0.1283 0.1283
W7 0.1283 0.8717 0.1283
W8 0.1283 0.1283 0.8717

***

2.
The following is a PBE calculation of a relaxed structure of CaY4Ge4, from the Alexandria database.

Computed properties:
Space group: P4_2/n, No. 86
Formation enthalpy at 0 K (eV per atom): -0.63
Crystal system: tetragonal

abc: 5.8069 9.4329 9.4329
angles: 90.00 90.00 90.00
Fractional positions:
Ca1 0.0000 0.0000 0.0000
Ca2 0.5000 0.5000 0.5000
Y1 0.3841 0.3532 0.8873
Y2 0.8841 0.6127 0.8532
Y3 0.3841 0.6468 0.1127
Y4 0.1159 0.1468 0.6127
Y5 0.6159 0.8873 0.6468
Y6 0.1159 0.8532 0.3873
Y7 0.8841 0.3873 0.1468
Y8 0.6159 0.1127 0.3532
Ge1 0.6063 0.7976 0.3469
Ge2 0.6063 0.2024 0.6531
Ge3 0.1063 0.8469 0.7024
Ge4 0.8937 0.2976 0.8469
Ge5 0.8937 0.7024 0.1531
Ge6 0.3937 0.3469 0.2024
Ge7 0.3937 0.6531 0.7976
Ge8 0.1063 0.1531 0.2976

***

3.
The following is a PBE calculation of a relaxed structure of La2Er5, from the Alexandria database.

Computed properties:
Space group: C2/m, No. 12
Formation enthalpy at 0 K (eV per atom): 0.04
Crystal system: monoclinic

abc: 5.0588 6.1845 8.0431
angles: 97.54 90.00 114.14
Fractional positions:
La1 0.0727 0.1453 0.2172
La2 0.9273 0.8547 0.7828
Er1 0.3559 0.7117 0.0707
Er2 0.6441 0.2883 0.9293
Er3 0.2131 0.4261 0.6433
Er4 0.5000 0.0000 0.5000
Er5 0.7869 0.5739 0.3567

***

4.
The following is a PBE calculation of a relaxed structure of CaRu2Au, from the Alexandria database.

Computed properties:
Space group: Pmmm, No. 47
Formation enthalpy at 0 K (eV per atom): 0.44
Crystal system: orthorhombic

abc: 2.7198 4.4251 6.0196
angles: 90.00 90.00 90.00
Fractional positions:
Ru1 0.0000 0.0000 0.0462
Ru2 0.0000 0.0000 0.4538
Ca1 0.5000 0.5000 0.7500
Au1 0.5000 0.5000 0.2500

***

5.
The following is a PBE calculation of a relaxed structure of Ba3Ag2Sb4Pb2, from the Alexandria database.

Computed properties:
Space group: P-3m1, No. 164
Crystal system: trigonal
Formation energy without anion corrections (meV/atom): -628

abc: 4.8323 4.8323 19.4795
angles: 90.00 90.00 120.00
Fractional positions:
Ba1 0.0000 0.0000 0.7563
Ba2 0.0000 0.0000 0.0000
Ba3 0.0000 0.0000 0.2437
Ag1 0.6667 0.3333 0.8762
Ag2 0.3333 0.6667 0.1238
Sb1 0.6667 0.3333 0.1208
Sb2 0.3333 0.6667 0.8792
Sb3 0.6667 0.3333 0.6466
Sb4 0.3333 0.6667 0.3534
Pb1 0.6667 0.3333 0.4271
Pb2 0.3333 0.6667 0.5729

***

6.
The following is a PBE calculation of a relaxed structure of Co3H12Rh5, from the Alexandria database.

Computed properties:
Space group: Ia-3d, No. 230
Crystal system: cubic
Total DFT energy (no corrections) (eV per atom): -4.77

abc: 9.0667 9.0667 9.0667
angles: 109.47 109.47 109.47
Site moments in Bohr magnetons follow the coordinates.
Fractional positions:
Co1 0.7500 0.3750 0.1250  1.15
Co2 0.8750 0.7500 0.1250  1.15
Co3 0.3750 0.7500 0.6250  1.15
Co4 0.2500 0.1250 0.3750  1.15
Co5 0.8750 0.1250 0.2500  1.15
Co6 0.3750 0.6250 0.2500  1.15
Co7 0.6250 0.3750 0.7500  1.15
Co8 0.1250 0.8750 0.7500  1.15
Co9 0.7500 0.8750 0.6250  1.15
Co10 0.6250 0.2500 0.3750  1.15
Co11 0.1250 0.2500 0.8750  1.15
Co12 0.2500 0.6250 0.8750  1.15
Rh1 0.1250 0.3750 0.2500  0.02
Rh2 0.0000 0.5000 0.0000  0.16
Rh3 0.0000 0.0000 0.0000  0.16
Rh4 0.3750 0.2500 0.1250  0.02
Rh5 0.5000 0.0000 0.5000  0.16
Rh6 0.5000 0.5000 0.0000  0.16
Rh7 0.1250 0.7500 0.3750  0.02
Rh8 0.7500 0.1250 0.8750  0.02
Rh9 0.7500 0.6250 0.3750  0.02
Rh10 0.3750 0.1250 0.7500  0.02

_Work order_
The reader should search the block above for the word "C2" and copy each line that has it.

_Here it is_
Space group: C2/m, No. 12